For the first time in its history, Estevan Fire Rescue Service (EFRS) held an awards supper on Saturday. Promotions, awards for 10, 15, 20, 30 and 40 years of service, provincial and federal long service awards along with special recognitions by the Estevan Firefighters Association were handed out that festive night.
Justin Herod and Mike Wock received helmets as a part of their promotion to firefighters. Geoff Thiessen accepted the role of the chaplain in addition to his firefighter's duties and was presented with a chaplain badge. Mike Olson was promoted to lieutenant and was presented with helmet, badge and stripes. Lincoln Empey and Brandon Frank were promoted to captains and also received helmets, badges and stripes.
The promotion part of the ceremony was followed by the presentation of awards for years of service. Ten-year awards were handed to firefighters Monty Blomberg and Matt Clausen, along with Captains Empey, Brandon Frank and Kyle Luke and Lieutenant Olson. Fire Chief Dale Feser received a 15-year award. Lieutenant Chad Perrault was awarded for over 20 years of service. Captain Pete Fedyk was presented with a 30-year award. And two firefighters Dean Nagel and Victor Frank were awarded for over 40 years of serving the community.
“I always said from the very start that once I lose the rush when pagers went, I’ll retire. I’m still getting the rush,” said Nagel, who’s been a firefighter for 43 years. “I still get excited when the phone goes.”
Despite it progressively getting busier throughout his years of experience, Nagel still loves this part of his life and enjoys working with new members, who are always curious and motivated. Nagel, who is now an operator, also keeps participating in bigger training including the recent school bus extrication.
Calculated crystals that have nothing to do with the article:
........
PBE-GGA ScIn2Ru, relaxed; energy relative to the elements = -0.18 eV per atom; space group = Imm2 (44); density of states at the Fermi level = 0.68 states/eV/atom
1.0
-1.7300 2.3835 4.7789
1.7300 -2.3835 4.7789
1.7300 2.3835 -4.7789
Sc In Ru
1 2 1
direct
0.0000 0.0000 0.0000
0.2772 0.7772 0.5000
0.5526 0.5526 0.0000
0.7910 0.2910 0.5000
........
The article goes on:
Victor Frank, who’s been with the Estevan fire department longer than anybody else, joined the crew when he was 16 years old, and said it wasn’t tough then and to this day he still really enjoys it.
“Knowing that you are going to help somebody more than anything (keeps me going) and helping the City of Estevan,” said Victor. “It’s a big family and we are a part of that family.”
Victor noted that the adrenaline rush he still gets every time a call comes as well as evolving equipment are two other things that make this work so special for him, and he hopes to continue.
The entry is interrupted by data records:
<<<
DFT (PBEsol) results for crystalline ReTc at its relaxed geometry.

- DFT formation energy (meV/atom) = -4
- energy above the lowest structure with this stoichiometry (meV per atom) = 3

abc: 2.7374 5.1833 6.4690
angles: 104.03 90.00 105.31
Atoms (fractional coordinates):
Re  0.3321  0.6643  0.6665
Re  0.0011  0.0021  0.9983
Re  0.3890  0.7781  0.2793
Tc  0.6666  0.3332  0.3344
Tc  0.0566  0.1132  0.6099
Tc  0.7212  0.4425  0.9450

----------

Here is a relaxed structure of KVO2 from the Alexandria database. Energies are from PBE with a Hubbard U.

extended XYZ file:
```
4
Lattice="3.4171 0.0000 0.0000 0.0000 3.4171 0.0000 0.0000 0.0000 4.6050" Properties=species:S:1:pos:R:3 pbc="T T T"
O 0.0000 0.0000 0.0000
K 0.0000 0.0000 2.3025
V 1.7085 1.7085 0.0000
O 1.7085 1.7085 2.3025
```

ρ, g/cm³: 3.77
V, Å³/atom: 13.44
Symmetry: P4/mmm, No. 123
Calculated total energy, eV/f.u.: -22.10
>>>
“I would love to put my 50 years in,” said Victor.
Both men recalled the fire that burned the Trinity Lutheran Church to the ground in winter of 1984 as one of the biggest fires in their careers.
Mayor Roy Ludwig, Feser and Deputy Fire Chief Rick Davies handed out provincial and federal long service awards. Captain Fedyk received a provincial medal for 25 years of service and a 30-year federal bar. Lieutenant Perrault was granted a federal medal for 20 years. Victor Frank and Nagel received federal bars for 40 years of service.
Calculated crystals, as found in the file:
********
# Cd2S3 PBE-GGA relaxed
data_Cd2S3
_cell_length_a 9.8515
_cell_length_b 5.6553
_cell_length_c 7.6897
_cell_angle_alpha 90.00
_cell_angle_beta 106.93
_cell_angle_gamma 90.00
_symmetry_space_group_name_H-M 'C 1 2/c 1'
_symmetry_Int_Tables_number 15
_symmetry_space_group_name_Hall '-C 2yc'
loop_
_atom_site_label
_atom_site_type_symbol
_atom_site_fract_x
_atom_site_fract_y
_atom_site_fract_z
_atom_site_occupancy
Cd1 Cd 0.1154 0.1947 0.1079 1
S1 S 0.0000 0.1546 0.7500 1
S2 S 0.1843 0.3902 0.4300 1
# Uncorrected energy: -3.1239 eV/atom

~~~~~

Entry 1:
Mg2SiPd | PBE | optimized geometry

```
Mg2SiPd
1.0
4.112 0.000 0.000
0.000 4.112 0.000
0.000 0.000 3.908
Mg Si Pd
2 1 1
Direct
0.000 0.500 0.000 Mg
0.500 0.000 0.000 Mg
0.000 0.000 0.500 Si
0.500 0.500 0.500 Pd
```

size of the total moment: 0.0 μB/f.u.
DOS at the Fermi energy: 1.3 states/eV/cell
mass density: 4.602 g/cm3
E: -15.22 eV per cell
calculated volume: 16.5 Å³ per atom

Entry 2:
BPdRu2 | PBE | optimized geometry

```
BPdRu2
1.0
4.469 0.000 0.000
0.000 4.469 0.000
0.000 0.000 12.864
B Pd Ru
4 4 8
Direct
0.000 0.000 0.000 B
0.000 0.500 0.250 B
0.500 0.000 0.750 B
0.500 0.500 0.500 B
0.000 0.000 0.500 Pd
0.000 0.500 0.750 Pd
0.500 0.000 0.250 Pd
0.500 0.500 0.000 Pd
0.136 0.250 0.125 Ru
0.250 0.636 0.375 Ru
0.250 0.864 0.875 Ru
0.364 0.250 0.625 Ru
0.636 0.750 0.625 Ru
0.750 0.136 0.875 Ru
0.750 0.364 0.375 Ru
0.864 0.750 0.125 Ru
```

size of the total moment: 0.0 μB/f.u.
DFT formation energy: 841 meV/atom
DOS at the Fermi energy: 28.5 states/eV/cell
mass density: 8.255 g/cm3
E: -108.24 eV per cell
calculated volume: 16.1 Å³ per atom

Entry 3:
GaB2As | PBE | optimized geometry

```
GaB2As
1.0
5.874 0.000 0.000
0.000 5.874 0.000
0.000 0.000 5.874
Ga B As
4 8 4
Direct
0.000 0.000 0.000 Ga
0.000 0.500 0.500 Ga
0.500 0.000 0.500 Ga
0.500 0.500 0.000 Ga
0.250 0.250 0.250 B
0.250 0.250 0.750 B
0.250 0.750 0.250 B
0.250 0.750 0.750 B
0.750 0.250 0.250 B
0.750 0.250 0.750 B
0.750 0.750 0.250 B
0.750 0.750 0.750 B
0.000 0.000 0.500 As
0.000 0.500 0.000 As
0.500 0.000 0.000 As
0.500 0.500 0.500 As
```

size of the total moment: 0.0 μB/f.u.
DFT formation energy: 1378 meV/atom
DOS at the Fermi energy: 6.5 states/eV/cell
mass density: 5.449 g/cm3
E: -62.07 eV per cell
calculated volume: 12.7 Å³ per atom

Entry 4:
GdZrCd | PBE | optimized geometry

```
GdZrCd
1.0
5.151 0.000 0.000
-2.575 4.461 0.000
0.000 0.000 3.371
Gd Zr Cd
1 1 1
Direct
0.000 0.000 0.000 Gd
0.333 0.667 0.514 Zr
0.667 0.333 0.472 Cd
```

size of the total moment: 7.2 μB/f.u.
DFT formation energy: 64 meV/atom
DOS at the Fermi energy: 2.8 states/eV/cell
mass density: 7.736 g/cm3
E: -23.35 eV per cell
calculated volume: 25.8 Å³ per atom

Entry 5:
SrAgPS2 | PBE | optimized geometry

```
SrAgPS2
1.0
5.050 0.000 0.000
0.000 5.050 0.000
0.000 0.000 4.685
Sr Ag P S
1 1 1 2
Direct
0.000 0.000 0.000 Sr
0.500 0.500 0.500 Ag
0.500 0.500 0.000 P
0.000 0.500 0.500 S
0.500 0.000 0.500 S
```

size of the total moment: 0.6 μB/f.u.
********
“The City of Estevan and Estevan Fire Rescue Service are very lucky and proud to have such committed, well-trained and upstanding people serving and protecting the city,” said Feser.
Estevan Firefighters Association came up with its own joking personalized awards. Victor Frank was named the Driver of the Year after he had the truck safely pulled out of the ditch. John Wells received the title of Brown-Noser of the Year for ensuring that there is always something sweet for the rest of the crew. Stephen McLaren received Darwin Award for jumping off of the train to respond to a call, and Matt Clausen received the Knock Out Award for taking a mirror off an RCMP cruiser while leaving the scene. Wells, Jolene Waddle, Wock and Tyler Stead were called the Curling Funspiel Champions.
After a great night, the organizer committee members expressed a hope that this kind of celebration will become a good tradition for the EFRS in years to come.